Source
- - -
The following is a DFT calculation (ωB97M-V/def2-TZVPD) of a single C13H12BrN3O molecule.

Last column: Mulliken charge in e.
Atoms and positions in Å:
1 O 1.940 3.413 -0.534  -0.69
2 C 1.107 2.544 -0.378  0.28
3 N -0.025 2.519 -1.141  -0.12
4 H 0.024 3.250 -1.837  0.28
5 C -0.875 1.399 -1.492  -1.00
6 C -0.184 0.057 -1.498  0.95
7 N 1.099 0.039 -1.825  -0.41
8 C 1.735 -1.119 -1.836  -0.42
9 C 1.126 -2.325 -1.530  -0.44
10 C -0.222 -2.312 -1.208  -0.39
11 C -0.892 -1.102 -1.191  -0.75
12 H -1.940 -1.051 -0.939  0.40
13 H -0.742 -3.228 -0.968  0.43
14 H 1.688 -3.246 -1.545  0.41
15 H 2.782 -1.067 -2.105  0.42
16 H -1.257 1.584 -2.501  0.48
17 H -1.740 1.345 -0.819  0.37
18 N 1.298 1.584 0.598  -0.04
19 C 0.408 0.726 1.219  0.20
20 C 0.846 -0.534 1.632  -0.54
21 C -0.025 -1.418 2.233  -0.60
22 C -1.341 -1.038 2.440  0.04
23 C -1.780 0.229 2.095  -0.60
24 C -0.904 1.112 1.497  -0.16
25 H -1.221 2.116 1.260  0.60
26 H -2.797 0.525 2.302  0.45
27 Br -2.561 -2.275 3.223  -0.20
28 H 0.311 -2.398 2.533  0.44
29 H 1.872 -0.822 1.460  0.39
30 H 2.270 1.494 0.856  0.23

The spin multiplicity is 1. As for the HOMO-LUMO gap: 9.13 eV. The value obtained for the energy above the lowest of the compared OMol25 structures with the same formula, charge and spin is 9.8 kcal per mole. The net charge is 0. The LUMO energy is 0.652 eV. As for the structure (SMILES): O=C(NCc1ccccn1)Nc1ccc(Br)cc1. The total energy comes out at -3316.14311 Eh.
- - -

Work order
Return all of the calculation results further up word for word, please.

Outcome
The following is a DFT calculation (ωB97M-V/def2-TZVPD) of a single C13H12BrN3O molecule.

Last column: Mulliken charge in e.
Atoms and positions in Å:
1 O 1.940 3.413 -0.534  -0.69
2 C 1.107 2.544 -0.378  0.28
3 N -0.025 2.519 -1.141  -0.12
4 H 0.024 3.250 -1.837  0.28
5 C -0.875 1.399 -1.492  -1.00
6 C -0.184 0.057 -1.498  0.95
7 N 1.099 0.039 -1.825  -0.41
8 C 1.735 -1.119 -1.836  -0.42
9 C 1.126 -2.325 -1.530  -0.44
10 C -0.222 -2.312 -1.208  -0.39
11 C -0.892 -1.102 -1.191  -0.75
12 H -1.940 -1.051 -0.939  0.40
13 H -0.742 -3.228 -0.968  0.43
14 H 1.688 -3.246 -1.545  0.41
15 H 2.782 -1.067 -2.105  0.42
16 H -1.257 1.584 -2.501  0.48
17 H -1.740 1.345 -0.819  0.37
18 N 1.298 1.584 0.598  -0.04
19 C 0.408 0.726 1.219  0.20
20 C 0.846 -0.534 1.632  -0.54
21 C -0.025 -1.418 2.233  -0.60
22 C -1.341 -1.038 2.440  0.04
23 C -1.780 0.229 2.095  -0.60
24 C -0.904 1.112 1.497  -0.16
25 H -1.221 2.116 1.260  0.60
26 H -2.797 0.525 2.302  0.45
27 Br -2.561 -2.275 3.223  -0.20
28 H 0.311 -2.398 2.533  0.44
29 H 1.872 -0.822 1.460  0.39
30 H 2.270 1.494 0.856  0.23

The spin multiplicity is 1. As for the HOMO-LUMO gap: 9.13 eV. The value obtained for the energy above the lowest of the compared OMol25 structures with the same formula, charge and spin is 9.8 kcal per mole. The net charge is 0. The LUMO energy is 0.652 eV. As for the structure (SMILES): O=C(NCc1ccccn1)Nc1ccc(Br)cc1. The total energy comes out at -3316.14311 Eh.